Sometimes people say really dumb things during focus groups.
As a moderator for nearly 20 years, I’m used to it. The other night I was conducting a focus group following the Cleveland presidential debate, and a woman in Ohio claimed that Joe Biden is a socialist because “he socializes with the public better than Trump does.”
She was neither joking nor being ironic.
This was not as bad as my favorite, from years ago, when a member of a focus group declared that it was impossible that 20 million seniors relied on Social Security for most of their income, because there were only 21.5 million people—total—in the entire United States.
Comments like these don’t actually bother me. Anyone who has seen Jay Leno’s JayWalking routine knows that many of our fellow citizens are woefully uninformed about even the most basic subjects.
**Attached: calculated crystals:**
- - -
# 1
KBi2F7 | PBE | optimized geometry

```
KBi2F7
1.0
4.321 0.000 0.000
1.664 3.992 0.000
1.801 1.214 20.790
Bi F K
4 14 2
direct
0.548 0.761 0.671 Bi
0.236 0.417 0.832 Bi
0.857 0.104 0.503 Bi
0.929 0.089 0.999 Bi
0.468 0.211 0.722 F
0.347 0.302 0.472 F
0.769 0.507 0.788 F
0.067 0.843 0.631 F
0.938 0.092 0.401 F
0.722 0.590 0.036 F
0.825 0.486 0.912 F
0.151 0.827 0.755 F
0.461 0.185 0.599 F
0.164 0.885 0.879 F
0.685 0.754 0.273 F
0.375 0.251 0.983 F
0.691 0.644 0.525 F
0.995 0.996 0.105 F
0.631 0.650 0.161 K
0.352 0.380 0.332 K
```

Summary:
E_tot   -4.66 eV/atom
Volume   359 Å³ per cell
Energy of formation   -27.524 eV per formula unit
E above lowest polymorph   36.3 meV/atom

# 2
Cu10Hg2Sb4S13 | PBE | optimized geometry

```
Cu10Hg2Sb4S13
1.0
-5.192 5.192 5.473
5.192 -5.192 5.473
5.192 5.192 -5.473
S Cu Sb Hg
13 10 4 2
direct
0.009 0.755 0.526 S
0.746 0.482 0.000 S
0.517 0.991 0.746 S
0.245 0.772 0.254 S
0.772 0.245 0.254 S
0.228 0.483 0.474 S
0.755 0.009 0.526 S
0.991 0.517 0.746 S
0.483 0.228 0.474 S
0.482 0.746 0.000 S
0.000 0.000 0.000 S
0.518 0.518 0.264 S
0.254 0.254 0.736 S
0.500 0.236 0.736 Cu
0.500 0.764 0.264 Cu
0.764 0.500 0.264 Cu
0.000 0.774 0.774 Cu
0.750 0.250 0.500 Cu
0.226 0.000 0.226 Cu
0.236 0.500 0.736 Cu
0.250 0.750 0.500 Cu
0.774 0.000 0.774 Cu
0.000 0.226 0.226 Cu
0.469 0.016 0.000 Sb
0.984 0.984 0.453 Sb
0.531 0.531 0.547 Sb
0.016 0.469 0.000 Sb
0.764 0.764 0.000 Hg
0.236 0.236 0.000 Hg
```

Summary:
E_tot   -4.05 eV/atom
Volume   590 Å³ per cell
Energy of formation   -12.104 eV per formula unit

# 3
CdN | PBE | optimized geometry

```
CdN
1.0
0.129 1.112 -3.154
-2.891 -1.115 1.264
-1.276 5.417 1.858
Cd N
2 2
direct
0.000 0.000 0.000 Cd
0.000 0.000 0.500 Cd
0.667 0.333 0.750 N
0.333 0.667 0.250 N
```

Summary:
E_tot   -3.49 eV/atom
Volume   57 Å³ per cell
Energy of formation   1.921 eV per formula unit
E above lowest polymorph   100.1 meV/atom

# 4
K2Ag4Se3 | PBE | optimized geometry

```
K2Ag4Se3
1.0
-8.885 -2.538 1.604
-7.197 -1.871 5.714
-6.571 10.062 1.064
Ag Se K
8 6 4
direct
0.409 0.409 0.516 Ag
0.992 0.992 0.877 Ag
0.982 0.982 0.630 Ag
0.018 0.018 0.370 Ag
0.589 0.589 0.912 Ag
0.411 0.411 0.088 Ag
0.591 0.591 0.484 Ag
0.008 0.008 0.123 Ag
0.145 0.145 0.960 Se
0.838 0.838 0.616 Se
0.162 0.162 0.384 Se
0.466 0.466 0.277 Se
0.855 0.855 0.040 Se
0.534 0.534 0.723 Se
0.336 0.336 0.839 K
0.186 0.186 0.656 K
0.664 0.664 0.161 K
0.814 0.814 0.344 K
```

Summary:
E_tot   -3.19 eV/atom
Volume   469 Å³ per cell
Energy of formation   -6.053 eV per formula unit

# 5
Hg3C2N4Cl2 | PBE | optimized geometry

```
Hg3C2N4Cl2
1.0
7.355 0.000 0.000
0.000 10.660 0.000
0.000 0.000 11.032
Cl Hg N C
8 12 16 8
direct
0.880 0.923 0.704 Cl
0.380 0.923 0.296 Cl
0.930 0.098 0.202 Cl
0.070 0.598 0.798 Cl
0.570 0.598 0.202 Cl
0.120 0.423 0.296 Cl
0.430 0.098 0.798 Cl
0.620 0.423 0.704 Cl
0.995 0.499 0.553 Hg
0.227 0.859 0.793 Hg
0.273 0.359 0.793 Hg
0.495 0.499 0.447 Hg
0.211 0.543 0.087 Hg
0.505 0.999 0.553 Hg
0.005 0.999 0.447 Hg
- - -
Now, being uninformed is bad. But being conspiratorial is worse.
And the kind of comments I’ve been hearing in focus groups for the past few weeks aren’t merely ignorant—they’re pernicious.
On Tuesday night, via Zoom, I interviewed 11 “Obama-Trump” voters across Ohio. It was the latest installment of my firm’s monthly Swing Voter Project. Over the course of three hours of conversations—90 minutes with six respondents, then another 90 with five others—I heard comments that nearly broke my poker face.
# Misplaced crystal structures
#1
DFT (PBE with a Hubbard U) results for a relaxed structure of Li2MnS2O8.

Properties
total magnetization = 0.00 μB/f.u.
density = 2.62 g/cm3

```
Li2MnS2O8
1.0
6.2951 -3.7592 4.1716
1.1099 -5.7630 -6.8681
6.1447 3.0012 -6.5680
S O Mn Li
8 32 4 8
Direct
0.8035 0.6328 0.1630
0.1965 0.3672 0.8370
0.6965 0.1328 0.1630
0.3035 0.3672 0.3370
0.6965 0.6328 0.6630
0.8035 0.1328 0.6630
0.1965 0.8672 0.3370
0.3035 0.8672 0.8370
0.3594 0.8525 0.4043
0.6475 0.3005 0.1374
0.1406 0.8525 0.9043
0.1406 0.3525 0.4043
0.5855 0.0612 0.0875
0.7995 0.0311 0.8322
0.7005 0.5311 0.8322
0.4145 0.9388 0.9125
0.2005 0.4689 0.6678
0.3525 0.1995 0.3626
0.8525 0.3005 0.6374
0.4145 0.4388 0.4125
0.1475 0.6996 0.3626
0.3525 0.6995 0.8626
0.6475 0.8005 0.6374
0.7005 0.0311 0.3322
0.9145 0.0612 0.5875
0.3594 0.3525 0.9043
0.1475 0.1995 0.8626
0.6406 0.1475 0.5957
0.2005 0.9689 0.1678
0.9145 0.5612 0.0875
0.8525 0.8005 0.1374
0.0855 0.9388 0.4125
0.7995 0.5311 0.3322
0.2995 0.4689 0.1678
0.8594 0.6475 0.5957
0.2995 0.9689 0.6678
0.8594 0.1475 0.0957
0.5855 0.5612 0.5875
0.0855 0.4388 0.9125
0.6406 0.6475 0.0957
0.5000 0.0000 0.5000
0.0000 0.5000 0.5000
0.0000 0.0000 0.0000
0.5000 0.5000 0.0000
0.3667 0.0937 0.0105
0.3667 0.5937 0.5105
0.8667 0.4063 0.9895
0.1333 0.0937 0.5105
0.6333 0.4063 0.4895
0.8667 0.9063 0.4895
0.1333 0.5937 0.0105
0.6333 0.9063 0.9895
```

#2
DFT (PBE with a Hubbard U) results for a relaxed structure of Li2MnS2O8.

Properties
total magnetization = 5.00 μB/f.u.
density = 2.76 g/cm3

```
Li2MnS2O8
1.0
9.4092 0.0000 0.0000
0.0000 14.0374 0.0000
0.0000 0.0000 9.5024
Li Mn S O
16 8 16 64
Direct
0.0460 0.1274 0.2238
0.0460 0.3726 0.7238
0.2203 0.6259 0.4667
0.2203 0.8741 0.9667
0.2797 0.1259 0.4667
0.2797 0.3741 0.9667
0.4540 0.6274 0.2238
0.4540 0.8726 0.7238
0.5460 0.1274 0.2762
0.5460 0.3726 0.7762
0.7203 0.6259 0.0333
0.7203 0.8741 0.5333
0.7797 0.1259 0.0333
0.7797 0.3741 0.5333
0.9540 0.6274 0.2762
0.9540 0.8726 0.7762
0.1024 0.6236 0.8603
0.1024 0.8764 0.3603
0.3976 0.1236 0.8603
0.3976 0.3764 0.3603
0.6024 0.6236 0.6397
0.6024 0.8764 0.1397
0.8976 0.1236 0.6397
0.8976 0.3764 0.1397
0.0702 0.2287 0.9259
0.0702 0.2713 0.4259
0.1878 0.5096 0.1611
0.1878 0.9904 0.6611
0.3122 0.0096 0.1611
0.3122 0.4904 0.6611
0.4298 0.7287 0.9259
0.4298 0.7713 0.4259
0.5702 0.2287 0.5741
0.5702 0.2713 0.0741
0.6878 0.5096 0.3389
0.6878 0.9904 0.8389
0.8122 0.0096 0.3389
0.8122 0.4904 0.8389
0.9298 0.7287 0.5741
0.9298 0.7713 0.0741
0.0028 0.1558 0.0168
0.0028 0.3442 0.5168
0.0155 0.2229 0.7787
0.0155 0.2771 0.2787
0.0362 0.0010 0.7052
0.0362 0.4990 0.2052
0.0382 0.1716 0.4750
0.0382 0.3284 0.9750
0.2000 0.5228 0.0061
0.2000 0.9772 0.5061
0.2286 0.2228 0.9279
0.2286 0.2772 0.4279
0.2331 0.5809 0.6884
0.2331 0.9191 0.1884
0.2471 0.5917 0.2408
0.2471 0.9083 0.7408
0.2529 0.0917 0.2408
0.2529 0.4083 0.7408
0.2669 0.0809 0.6884
0.2669 0.4191 0.1884
0.2714 0.7228 0.9279
0.2714 0.7772 0.4279
0.3000 0.0228 0.0061
0.3000 0.4772 0.5061
0.4618 0.6716 0.4750
0.4618 0.8284 0.9750
# Here the text continues
Without my inquiring about conspiracy theories or anything related, respondents offered these observations:
“I came across a couple theories that [Biden] was wired up, and they showed some evidence [at] that debate. Also, somebody pointed out, possibly he was wearing contact lenses that were projecting things for him.”
## Attached: crystal structures
'''
[1]
{
  "formula": "NdO2",
  "functional": "PBE",
  "state": "optimized geometry",
  "ef_ev_per_atom": -2.85,
  "magmom_total_mub_per_fu": 1.0,
  "crystal_system": "orthorhombic",
  "cell": [[5.277, 0.000, 0.000], [0.000, 5.445, 0.000], [0.000, 0.000, 3.790]],
  "species": ["Nd", "Nd", "O", "O", "O", "O"],
  "frac_coords": [[0.000, 0.000, 0.000], [0.500, 0.500, 0.500], [0.180, 0.203, 0.500], [0.320, 0.703, 0.000], [0.680, 0.297, 0.000], [0.820, 0.797, 0.500]]
}

---

[2]
{
  "formula": "UH2O4",
  "functional": "PBE",
  "state": "optimized geometry",
  "ef_ev_per_atom": -2.49,
  "magmom_total_mub_per_fu": 0.0,
  "e_above_lowest_polymorph_ev_per_atom": 0.0905,
  "crystal_system": "orthorhombic",
  "cell": [[5.422, 0.000, 0.000], [0.000, 6.022, 0.000], [0.000, 0.000, 10.144]],
  "species": ["U", "U", "U", "U", "H", "H", "H", "H", "H", "H", "H", "H", "O", "O", "O", "O", "O", "O", "O", "O", "O", "O", "O", "O", "O", "O", "O", "O"],
  "frac_coords": [[0.000, 0.000, 0.000], [0.000, 0.500, 0.500], [0.500, 0.000, 0.500], [0.500, 0.500, 0.000], [0.150, 0.121, 0.262], [0.150, 0.379, 0.762], [0.350, 0.621, 0.262], [0.350, 0.879, 0.762], [0.650, 0.121, 0.238], [0.650, 0.379, 0.738], [0.850, 0.621, 0.238], [0.850, 0.879, 0.738], [0.165, 0.028, 0.181], [0.165, 0.472, 0.681], [0.235, 0.203, 0.439], [0.235, 0.297, 0.939], [0.265, 0.703, 0.439], [0.265, 0.797, 0.939], [0.335, 0.528, 0.181], [0.335, 0.972, 0.681], [0.665, 0.028, 0.319], [0.665, 0.472, 0.819], [0.735, 0.203, 0.061], [0.735, 0.297, 0.561], [0.765, 0.703, 0.061], [0.765, 0.797, 0.561], [0.835, 0.528, 0.319], [0.835, 0.972, 0.819]]
}

---

[3]
{
  "formula": "ThSiSe",
  "functional": "PBE",
  "state": "optimized geometry",
  "ef_ev_per_atom": -1.36,
  "crystal_system": "tetragonal",
  "cell": [[-2.003, 2.003, 8.856], [2.003, -2.003, 8.856], [2.003, 2.003, -8.856]],
  "species": ["Th", "Th", "Si", "Si", "Se", "Se"],
  "frac_coords": [[0.129, 0.129, 0.000], [0.871, 0.871, 0.000], [0.000, 0.500, 0.500], [0.500, 0.000, 0.500], [0.312, 0.312, 0.000], [0.688, 0.688, 0.000]]
}

---

[4]
{
  "formula": "TbMgPd",
  "functional": "PBE",
  "state": "optimized geometry",
  "ef_ev_per_atom": -0.69,
  "crystal_system": "hexagonal",
  "cell": [[7.553, 0.000, 0.000], [-3.776, 6.541, 0.000], [0.000, 0.000, 3.999]],
  "species": ["Tb", "Tb", "Tb", "Mg", "Mg", "Mg", "Pd", "Pd", "Pd"],
  "frac_coords": [[0.000, 0.588, 0.000], [0.412, 0.412, 0.000], [0.588, 0.000, 0.000], [0.000, 0.246, 0.500], [0.246, 0.000, 0.500], [0.754, 0.754, 0.500], [0.000, 0.000, 0.000], [0.333, 0.667, 0.500], [0.667, 0.333, 0.500]]
}
'''
“I call it a ‘scam-demic’…. I know this firsthand. I have people in nursing homes. People are not dying from COVID, they’re dying with COVID. The numbers, and this is already starting to come out, have been fudged.”
“Another factor, and I don’t know how much truth there is to this, but it’s something that plays in my head, is this whole child predator ring that’s going around in Hollywood and how [Trump’s] got information on it and he may expose it. That's kind of important. I have a small child…. Here’s just one example: Celebrities will commit suicide, and then it turns out they’re working on documentaries about child predator rings.”
Two other respondents in that same session said they believed the child predator story, which is the root of the QAnon conspiracy theory.
I’d first heard a respondent mention Hollywood predators in passing on September 22 during another election-related focus group. A gentleman had been complaining that he could not get a fair shake, and then transitioned to what he wanted Trump to do as president: “The only thing Trump can do for me is go after these 45,000 indictments they have against some of these pedophiles.”
Prior to that moment, I’d never heard pedophiles referenced in a focus group. It was so out of context that at first I didn’t know what to make of it. Several minutes later I asked whether he was following QAnon on the internet. He replied, “You better believe it.” He then said a lot of people were making claims about this problem, and that “Hollywood is full of pedophiles.”
What I’m discovering in these focus groups is that when ordinary people espouse conspiracy theories, they are not shouting them from the rooftops, as in, “NOW I AM GOING TO SHARE SOME CONSPIRATORIAL THINKING WITH YOU!”
Instead, the conspiracy theories are woven into what sounds like an otherwise normal argument. The gentleman who thought Biden was wired for the debate and wearing special contact lenses was merely making the point he does not trust Biden. Yet rather than rely on rational argument—or even his own subjective appraisal of Biden’s character—he leaned on fiction.
That need to justify a subjective verdict of Biden by employing a fictional fact-set is interesting, and possibly new—at least in the mainstream of American politics.
In recent days, the mainstream media have been filled with stories that show how QAnon hijacked respectable organizations such as Save the Children, and how Joe Biden is being accused of hiding technology to help him secretly win the debate.
It’s not clear whether this blossoming of conspiracy theories is being caused by technology, with the disintermediation of gatekeepers, or if it’s the latest evolution of the paranoid style in American politics.
Whichever it is, it’s not good. A liberal democracy can endure a great many tensions between the people: different races, different religions, different political views. But cohesion exists only if, at the bedrock level, everyone shares the same reality.